Heterogeneous Catalysis

Module Notes
Faculty Member (Members):
Undergraduate, 9th Semester (5th Year, Fall)
Module Category: Thematic Unit Electives, Group B
Module Type: Core Chemical Engineering
Teaching Language: Greek
Course Code: CHM_E_B1
Credits: 3
ECTS Credits: 4
Teaching Type: Lectures (3h/W) Project/Homework (2/Semester)
Module Availability on Erasmus Students: No
Course URL: E-Class (CMNG2147)
Module Details

Knowledge of the fundamentals of thermodynamics and kinetics of the heterogeneous catalytic reactions.

== Calculated molecules, kept here for reference ==
____________
Entry 1:
Molecular formula: C10H11N2RuSSe5
Method: DFT, ωB97M-V/def2-TZVPD

Output
HOMO-LUMO gap ... 6.0 eV
Electronic energy ... -353673.50544 eV
Molar mass ... 687.15 g mol⁻¹
Highest occupied orbital energy ... -11.14 eV
2S+1 ... 1
Lowest unoccupied orbital energy ... -5.1 eV
Total charge ... +1

XYZ file:
```
30
Properties=species:S:1:pos:R:3:forces:R:3
Ru 0.741918 -1.779168 -2.506071 -0.1 -0.8 0.2
Se -0.560459 -3.538059 -3.286408 0.1 0.3 -0.1
Se 1.003080 -4.127357 -4.973343 -0.3 -0.4 0.0
Se 2.526137 -2.677207 -4.046866 0.5 0.4 0.2
Se 1.548960 -0.557170 -4.318247 0.0 0.0 -0.2
C -2.539070 1.119683 0.404995 -0.3 0.0 0.1
N -1.272130 1.503155 -0.182472 0.2 -0.2 -0.2
C -0.562749 2.651579 0.075498 0.5 0.2 -0.1
C 0.583248 2.589551 -0.644203 -0.2 0.3 0.3
N 0.547776 1.402959 -1.333144 -0.2 -0.3 -0.1
C -0.594782 0.746272 -1.058638 0.0 0.1 0.1
S -1.180058 -0.720679 -1.703049 0.0 0.0 0.1
H -2.789289 1.840924 1.178734 0.0 0.0 0.0
H -2.449082 0.125952 0.843089 0.0 0.1 0.0
H -3.316690 1.115370 -0.359509 0.0 0.0 0.1
H -0.934587 3.400296 0.746802 0.0 0.1 0.1
H 1.406931 3.271375 -0.720043 0.1 0.1 0.0
H 1.260359 1.034949 -1.949795 -0.1 0.1 0.1
Se 1.907489 -2.107171 -0.542235 -0.1 0.1 -0.2
C 1.040552 -1.179511 0.903900 0.0 0.0 0.0
C 1.600330 -0.005472 1.392128 0.1 0.0 -0.1
C 1.061521 0.601923 2.515675 -0.1 0.0 0.0
C -0.032982 0.034980 3.149284 0.0 0.1 0.0
C -0.587406 -1.141609 2.664026 -0.1 0.0 0.1
C -0.052155 -1.754227 1.545686 0.1 -0.1 -0.2
H 2.469906 0.426026 0.916094 0.1 0.0 -0.1
H 1.510121 1.503600 2.904110 0.0 0.1 0.0
H -0.443142 0.498860 4.034959 0.0 0.0 0.0
H -1.426841 -1.596477 3.172423 0.0 0.0 0.0
H -0.466892 -2.683354 1.176626 0.0 0.0 0.0
```
Forces are in eV/Å.

***

Entry 2:
Molecular formula: C3H7NO3S
Method: DFT, ωB97M-V/def2-TZVPD

Output
HOMO-LUMO gap (spin up / spin down) ... 8.7 / 8.7 eV
Electronic energy ... -21688.81326 eV
Molar mass ... 137.16 g mol⁻¹
Highest occupied orbital energy (spin up / spin down) ... -8.97 / -8.96 eV
2S+1 ... 1
Lowest unoccupied orbital energy (spin up / spin down) ... -0.3 / -0.3 eV
Total charge ... 0

XYZ file:
```
15
Properties=species:S:1:pos:R:3:forces:R:3
C 0.723062 -0.303372 -0.524833 0.1 0.4 -0.2
C 0.228745 1.212940 -0.389090 0.6 -0.1 -1.2
C -1.252537 0.500822 1.184743 1.4 -1.7 -1.1
N 0.057896 -1.179168 0.359545 -1.6 1.1 1.2
O -2.482840 0.794651 -1.135544 -0.1 0.2 -0.5
O -2.500350 -1.437691 0.036340 -0.9 0.7 0.2
O -0.327983 1.382529 0.880547 -0.9 0.0 0.6
S -2.758088 0.141863 0.133667 0.6 -1.0 0.4
H 0.482214 -0.610728 -1.546509 0.1 0.2 0.0
H 1.809863 -0.297544 -0.400252 -0.1 -0.1 0.1
H 1.052968 1.921628 -0.470240 -0.1 0.0 0.1
H -0.504921 1.379154 -1.178306 0.1 0.1 0.3
H -1.439548 0.413829 2.246637 0.0 0.0 0.2
H -1.504305 -1.616354 0.064871 0.6 0.2 0.1
H 0.546096 -1.274536 1.244772 0.0 0.0 -0.1
```
Forces are in eV/Å.
____________
== Back to the piece ==

Knowledge of the basic types of solid catalysts and of the most common methods used for their synthesis, characterization and assessment of performance.

Knowledge at the microscopic level of the general mechanism and of the basic aspects of  chemisorption and  catalytic action, for different types of solid catalysts.

Knowledge of the key features of the heterogeneous catalytic actions in selected processes of industrial and environmental significance

Ability to analyze experimental data of physisorption and chemisorption on solid catalyst surfaces and to identify the basic features of the mechanism of a heterogeneous catalytic reaction, on the basis of kinetic measurements and  data resulting from the application of techniques of characterization of solid catalysts.

Ability to select the most suitable type  of heterogeneous catalyst for a particular reaction and become involved in development of new or optimized catalysts.

Ability to clearly present in written as well as discuss solutions to homework exercises and problems related to heterogeneous catalysis.

There are no prerequisite modules. The students should have a basic knowledge of General and Inorganic Chemistry, Organic Chemistry, Physical Chemistry and Chemical Thermodynamics and Kinetics.

Introduction to Catalysis. Thermodynamics and kinetics of surface catalyzed reactions.

Basic physical forms of catalytic surfaces: Metal catalysts, microporous solids, supported liquid phase catalysts, immobilized and anchored catalysts, grafted catalysts, mixed oxide catalysts.  Synthesis and characterization of solid catalysts.

Chemisorption processes at solid surfaces: Metal surfaces, redox oxide surfaces, solid acid surfaces.

The detection of adsorbates on catalyst surfaces. Techniques used to investigate phenomena at solid surfaces (TPD, TPR, SIMS, LEED, EELS, AES, UPS, XPS, EXAFS, IR and IRAS). General principles underlying each of these techniques and examples of their application in Heterogeneous Catalysis.

Catalytic actions on solid surfaces: Reactions catalyzed by transition metals, oxidation reactions on redox catalysts, hydrocarbon conversions on solid acid surfaces, reforming catalysts.

Fundamental aspects of the catalytic action in heterogeneous catalytic processes of industrial and environmental significance: Hydrogenation of vegetable oils. Ammonia and nitric acid production. Methanol synthesis. Synthesis gas conversion processes. Ethylene oxide production. Sulphuric acid production. Linear polyethylene production. Catalytic cracking. Synthetic gasoline production. Catalytic processes with modified zeolite catalysts. Catalytic processes for pollution abatement.

Keywords: Heterogeneous Catalysis; Adsorption; Catalytic action; Catalytic processes; Catalyst characterization

Teaching Organization


Total Module Workload (ECTS Standards):

102 Hours

1. Final written exam

The written exams comprise mainly theoretical questions (part of them in the form of multiple-choice questions) but also solving of simple exercises.  

2.   Mid-term written exam (on volunteer basis)

The mid-term exam grade is taken into account only if it is higher than that of the final exam.

3.   Homework assignments (two homework sets), on volunteer basis. 

1.  Lecture notes (Σ. Μπεμπέλης, Σ. Λαδάς, «Ετερογενής Κατάλυση»,  Πανεπιστήμιο Πατρών 2006)